Transcribe the whole of the listing below without additions.

┌──
Entry from Alexandria: a relaxed La2TmPd9 crystal (PBE-GGA).

Cell lengths 4.198, 4.198, 12.494 Å; angles 90.00, 90.00, 90.00 degrees
Element x y z (fractional)
La: 0.000 0.000 0.172
La: 0.000 0.000 0.828
Tm: 0.000 0.000 0.500
Pd: 0.000 0.500 0.000
Pd: 0.000 0.500 0.341
Pd: 0.000 0.500 0.659
Pd: 0.500 0.000 0.000
Pd: 0.500 0.000 0.341
Pd: 0.500 0.000 0.659
Pd: 0.500 0.500 0.170
Pd: 0.500 0.500 0.500
Pd: 0.500 0.500 0.830
└──

Entry from Alexandria: a relaxed La2TmPd9 crystal (PBE-GGA).

Cell lengths 4.198, 4.198, 12.494 Å; angles 90.00, 90.00, 90.00 degrees
Element x y z (fractional)
La: 0.000 0.000 0.172
La: 0.000 0.000 0.828
Tm: 0.000 0.000 0.500
Pd: 0.000 0.500 0.000
Pd: 0.000 0.500 0.341
Pd: 0.000 0.500 0.659
Pd: 0.500 0.000 0.000
Pd: 0.500 0.000 0.341
Pd: 0.500 0.000 0.659
Pd: 0.500 0.500 0.170
Pd: 0.500 0.500 0.500
Pd: 0.500 0.500 0.830